## Activity
Please duplicate all of the calculation results further below without additions.
## Entries
/*
Entry 1:
{"formula": "C2H7N2S", "method": "wB97M-V/def2-TZVPD", "lumo_ev": 4.0, "charge": -1, "multiplicity": 1, "elements": ["C", "S", "H", "H", "H", "N", "C", "N", "H", "H", "H", "H"], "xyz": [[-1.0997, 1.7428, 1.2277], [-0.6192, 2.7001, -0.3697], [-2.1594, 1.7914, 1.2272], [-0.8014, 2.2532, 2.2504], [-0.8497, 0.6087, 1.3942], [-0.0536, -0.7783, -0.5386], [1.1072, -1.3545, -0.8038], [1.1682, -2.5648, -1.2257], [-0.7811, -1.3366, -0.7966], [0.0009, 0.3464, -0.6602], [1.8883, -0.6368, -0.4970], [2.1993, -2.7716, -1.2078]], "forces_ev_per_angstrom": [[1.2, 0.0, 1.5], [0.3, -1.5, 1.4], [-1.1, -0.1, 0.1], [-0.2, -0.7, -2.0], [0.0, 2.1, -0.8], [2.0, 4.9, 0.4], [0.1, 0.2, 0.6], [2.6, -0.2, 0.2], [-2.9, -1.1, -0.9], [-1.2, -2.6, 0.4], [0.6, -0.8, -0.5], [-1.2, -0.3, -0.3]], "nbo_charge": [-0.7426, -0.7106, 0.1760, 0.1650, 0.1811, -0.8318, 0.2794, -0.7914, 0.3718, 0.4469, 0.1421, 0.3142]}

=====

Entry 2:
{"formula": "C2H7N2S", "method": "wB97M-V/def2-TZVPD", "lumo_ev": 3.9, "charge": -1, "multiplicity": 1, "elements": ["N", "C", "N", "H", "H", "H", "H", "C", "S", "H", "H", "H"], "xyz": [[0.0494, 0.7965, 0.7623], [-0.9194, 1.6706, 1.0829], [-2.0867, 1.7157, 0.5494], [0.9531, 1.0396, 1.1365], [0.1202, 0.3489, -0.2123], [-0.6396, 2.3482, 1.8944], [-2.6190, 2.4501, 0.9956], [1.0763, -2.1776, -1.1960], [0.3487, -0.6676, -1.9109], [1.6698, -1.9538, -0.2936], [0.3147, -2.8938, -0.9011], [1.7324, -2.6766, -1.9073]], "forces_ev_per_angstrom": [[0.6, 0.0, -0.2], [-0.5, 0.1, -0.1], [0.2, -0.1, 0.0], [0.0, -0.1, 0.0], [-0.4, -0.1, 0.4], [0.1, 0.1, 0.2], [-0.1, 0.1, 0.1], [0.2, 0.2, 0.3], [0.2, -0.1, -0.5], [-0.1, -0.1, -0.2], [-0.2, -0.1, 0.1], [0.1, -0.1, -0.1]], "nbo_charge": [-0.8452, 0.2840, -0.7583, 0.3528, 0.4117, 0.1011, 0.3091, -0.7330, -0.6396, 0.1678, 0.1737, 0.1758]}
*/
## Outcome
Entry 1:
{"formula": "C2H7N2S", "method": "wB97M-V/def2-TZVPD", "lumo_ev": 4.0, "charge": -1, "multiplicity": 1, "elements": ["C", "S", "H", "H", "H", "N", "C", "N", "H", "H", "H", "H"], "xyz": [[-1.0997, 1.7428, 1.2277], [-0.6192, 2.7001, -0.3697], [-2.1594, 1.7914, 1.2272], [-0.8014, 2.2532, 2.2504], [-0.8497, 0.6087, 1.3942], [-0.0536, -0.7783, -0.5386], [1.1072, -1.3545, -0.8038], [1.1682, -2.5648, -1.2257], [-0.7811, -1.3366, -0.7966], [0.0009, 0.3464, -0.6602], [1.8883, -0.6368, -0.4970], [2.1993, -2.7716, -1.2078]], "forces_ev_per_angstrom": [[1.2, 0.0, 1.5], [0.3, -1.5, 1.4], [-1.1, -0.1, 0.1], [-0.2, -0.7, -2.0], [0.0, 2.1, -0.8], [2.0, 4.9, 0.4], [0.1, 0.2, 0.6], [2.6, -0.2, 0.2], [-2.9, -1.1, -0.9], [-1.2, -2.6, 0.4], [0.6, -0.8, -0.5], [-1.2, -0.3, -0.3]], "nbo_charge": [-0.7426, -0.7106, 0.1760, 0.1650, 0.1811, -0.8318, 0.2794, -0.7914, 0.3718, 0.4469, 0.1421, 0.3142]}

=====

Entry 2:
{"formula": "C2H7N2S", "method": "wB97M-V/def2-TZVPD", "lumo_ev": 3.9, "charge": -1, "multiplicity": 1, "elements": ["N", "C", "N", "H", "H", "H", "H", "C", "S", "H", "H", "H"], "xyz": [[0.0494, 0.7965, 0.7623], [-0.9194, 1.6706, 1.0829], [-2.0867, 1.7157, 0.5494], [0.9531, 1.0396, 1.1365], [0.1202, 0.3489, -0.2123], [-0.6396, 2.3482, 1.8944], [-2.6190, 2.4501, 0.9956], [1.0763, -2.1776, -1.1960], [0.3487, -0.6676, -1.9109], [1.6698, -1.9538, -0.2936], [0.3147, -2.8938, -0.9011], [1.7324, -2.6766, -1.9073]], "forces_ev_per_angstrom": [[0.6, 0.0, -0.2], [-0.5, 0.1, -0.1], [0.2, -0.1, 0.0], [0.0, -0.1, 0.0], [-0.4, -0.1, 0.4], [0.1, 0.1, 0.2], [-0.1, 0.1, 0.1], [0.2, 0.2, 0.3], [0.2, -0.1, -0.5], [-0.1, -0.1, -0.2], [-0.2, -0.1, 0.1], [0.1, -0.1, -0.1]], "nbo_charge": [-0.8452, 0.2840, -0.7583, 0.3528, 0.4117, 0.1011, 0.3091, -0.7330, -0.6396, 0.1678, 0.1737, 0.1758]}